Making a House a Home
Soap Lake, Washington, had about 2000 people when Sandra (Cassandra Athena) “Sandy” Marlene Pappas (Papaioanos) grew up there. Her parents’ friendships and civic activism led to the family’s success in this small community. Sandra has used her parents’ examples to become successful in the Seattle real estate field.
The First To Travel From Greece
John and Margaret engagement, 1931
Sandra’s uncle Theodore was the first of the family to come from Greece to the United States in 1910. His home was the village of Gavros in northern Greece, almost at the Albanian border. As World War I was still raging, Theodore had sent $600 to his family so that his brother Ioannis could pay his way out of a military obligation. In 1914, at the age of 17, Ioannis came to be with his brother with a promise to return. Ioannis spent 17 days wearing a life jacket on the boat as he did not know how to swim.
At Ellis Island he was afraid he would be sent back to Greece so when the customs officer gave him the name John Pappas, Ioannis had no objection and was very happy to clear customs. John met his brother Theodore in Helena, Montana, where both worked for the Great Northern Railroad for the next seven to eight years. Theodore wanted John to go to school but that was not John’s desire. When John was about 27, the brothers decided to buy a restaurant and tavern in Soap Lake, Washington. However, one day while Theodore was showing some people through the railroad roundhouse an explosion occurred and Theodore was killed. Although this was devastating for John, he made the trip to Soap Lake where he operated the James Café and Tavern with his cousin, James Arvan.
Beginning At A British Tea House
Alice Margaret Thomas, the oldest of five children, was born in Great Britain in 1903. She worked for Lyons Tea Houses which were very popular in the 1920s. Regardless of the hours worked, employees received only enough extra funds for a two-week vacation each year. Thus, Alice decided to emigrate to Canada and settled in Quebec City in 1929. The Canadian immigration policy at the time automatically provided jobs for immigrants and Alice found herself working on a farm. On her first day she appeared in a white silk blouse and long silk skirt, always a truly magnificent London lady. She lasted there only two weeks and decided to go to Vancouver, British Columbia, where she knew Dot Bradner, a traveling companion from England. When Dot first asked Alice’s name, Alice was wearing a black coat with a violet corsage. Dot said, “You’re not an Alice, you’re a Margaret,” and it was Margaret from then on.
Engraved stone for John Pappas at Soap Lake sun dial, 2012 by John Nicon
Engraved stone for Margaret Pappas at Soap Lake sun dial, 2012 by John Nicon
Somehow Margaret met Melita O’Hara who was writing a book, Across Canada in a Puddle Jumper, and they traveled together. When they crossed the border on the way to Spokane, Washington, Melita inferred that Margaret was her maid. Indignant, having shared expenses on the trip, Margaret said, “I’m not traveling with you anymore.” She then went to an employment agency and learned there was a job as a waitress in a wonderful resort and said “OK.” And that’s how Margaret came to work at the James Café and Tavern in Soap Lake.
John had sent a car and an employee to meet Margaret in Spokane. The employee found a woman named Ginger and some liquor which the two drank on the way to Soap Lake. When Margaret arrived safely in Soap Lake and John offered her a meal, she said she would accept anything the staff had. John said, “No, you can have anything you want.” The breaded veal cutlets were the best she had ever tasted.
A Cross Country Connection
Margaret’s employment ended in Soap Lake as her visa allowed her only 30 days in the United States and she moved back to Vancouver. John, the tenacious Greek, began the harrowing treks between Soap Lake and Vancouver to see Margaret. When the restaurant closed on Saturday, he would drive 12 hours to Vancouver, spend time with Margaret and return in another 12 hours to open the restaurant on Monday morning.
This lasted for two years as Margaret was not ready to get married. She had been asked to train as a secretary for the mayor of Vancouver, but being rather prudish, suspected the mayor’s motives were not pure. Finally, she said “Yes” to John and he promised they would not stay in Soap Lake. It was 55 years before she finally left.
Headstone in Valley View Cemetery, 2011 by John Nicon
Headstone in Valley View Cemetery, 2011 by John Nicon
Theodore “Ted” (now deceased) was the first child born to John and Margaret on September 20, 1933. The second son, John, followed on June 24, 1935. Sandra was born October 24, 1945, in Ephrata, Washington. The three Pappas children were baptized at Holy Trinity Greek Orthodox Church in Spokane, Washington, but their lives expanded to the more non-Greek ways of life after that.
Sandra, circa 1947
Meals in the Pappas home were a combination of Greek and English, sometimes lamb and sometimes a standing rib roast. In addition to the Arvan family, Sam and Hilda Melonis lived nearby. They brought a nephew, John Lagos, from Greece. Hilda tutored him and helped him finish school. He became a successful dentist in Seattle and eventually returned to Greece. Along with John’s business partner’s family, the Notaras family was prominent in Soap Lake and continues to be so to this day. Sandra remembers Marina, April and Joyce Notaras who currently operate the Notaras Lodge and Don’s Restaurant.
Sandra and Nick Notaras were schoolmates. As English was spoken at home Sandra heard the Greek language and experienced a significant amount of Greek cooking only when relatives visited in the summers. At Christmas and Easter, John would take his family to Spokane for church. When visiting her brother in Seattle, Sandra would attend St. Demetrios Greek Orthodox Church. Sandra’s father felt no desire to return to Greece. John and his brother had left the family home and possessions to their sister for her dowry.
Life In Soap Lake
Pappas family engraved stone, Soap Lake, 2012
____________
Tm3PbC: optimized geometry, r2SCAN.

Its calculated formation energy is -738 meV/atom. For the magnetic moment, the calculation gives 0.00 Bohr magnetons per cell. As for the total energy: -1.2883 Ha/atom.

It has space group Pm-3m (No. 221), with a = 4.8048 Å, b = 4.8048 Å, c = 4.8048 Å, α = 90.00°, β = 90.00° and γ = 90.00°. The distinct sites, in fractional coordinates, are Tm at (0.0000, 0.0000, 0.5000), Pb at (0.5000, 0.5000, 0.5000) and C at (0.0000, 0.0000, 0.0000).
____________
[The data records stop here]
Despite Soap Lake’s small size, construction of Grand Coulee Dam on the Columbia River and the existence of nearby Larson Air Force Base enhanced the town’s business. With sun 355 days a year, visitors, many of them Greek, came to get away from the rain on the coast, rent a small cabin and enjoy the wonderful beaches along the lake. Greek could frequently be heard on the streets and as travel to Europe was not affordable for most, eastern Washington became a destination. The high mineral content of the lake was said to provide medicinal benefits although that was never authenticated. However, the water was buoyant and the black mud along the shores felt good on the skin. Margaret would sit on the porch and greet tourists as they walked by. Soap Lake was a very friendly town.
Ted Pappas, 2000
Sandra’s brother John graduated from high school in Ephrata in 1952 as Soap Lake did not have its own high school and Ted attended Gonzaga Preparatory and University in Spokane. Sandra attended school in Soap Lake, graduating high school with a class of 29 students in 1963. Her father was very active in city affairs serving on the city council and the school board and her mother contributed through a number of ladies organizations. There are several lasting tributes to the Pappas family in Soap Lake. John built a building across from the family home which was used as the town post office for years.
Pappas sign on Soap Lake building, 2012 by John Nicon
Pappas sign on Soap Lake building, 2012 by John Nicon
The Pappas name remains on the building now partially obscured by an awning. Engraved stones at the base of the human figure sun dial at the edge of Soap Lake provide a lasting tribute to many Soap Lake residents, including the Pappas family. Margaret helped build the Episcopal Church in Ephrata and Sandra remembers helping by sanding the pews. Sandra was confirmed in this church and her parents’ funeral services were held there as well. John and Margaret’s headstones mark their graves at nearby Valley View Cemetery. Margaret’s epitaph reads, “Loving wife and mother. Always the lady.”
Soap Lake Sundial 2012 b John Nicon.
Life After High School
After high school Sandra attended Washington State University to become a teacher. Her father had arranged a meeting with the superintendent of the Royal City School District but Sandra found the eastern Washington towns a bit too sleepy. So, she came west and worked in the Issaquah and Northshore School Districts near Seattle. Initially she substituted and told the principals she wanted a full-time job.
[Calculated crystals, kept here for reference]
~~~
(1)
Here is a relaxed SiC crystal from the Materials Project database. Energies are from PBE.

a = 3.0942 Å, b = 3.0942 Å, c = 98.7097 Å
α = 90.00°, β = 90.00°, γ = 120.00°
Space group P3m1 (No. 156)
Asymmetric unit:
Si  0.0000  0.0000  0.0000 (multiplicity 1)
Si  0.0000  0.0000  0.0513 (multiplicity 1)
Si  0.0000  0.0000  0.1026 (multiplicity 1)
Si  0.0000  0.0000  0.2051 (multiplicity 1)
Si  0.0000  0.0000  0.2564 (multiplicity 1)
Si  0.0000  0.0000  0.3589 (multiplicity 1)
Si  0.0000  0.0000  0.4103 (multiplicity 1)
Si  0.0000  0.0000  0.5128 (multiplicity 1)
Si  0.0000  0.0000  0.5897 (multiplicity 1)
Si  0.0000  0.0000  0.6410 (multiplicity 1)
Si  0.0000  0.0000  0.6923 (multiplicity 1)
Si  0.0000  0.0000  0.7949 (multiplicity 1)
Si  0.0000  0.0000  0.8462 (multiplicity 1)
Si  0.0000  0.0000  0.9487 (multiplicity 1)
Si  0.3333  0.6667  0.0256 (multiplicity 1)
Si  0.3333  0.6667  0.1282 (multiplicity 1)
Si  0.3333  0.6667  0.1795 (multiplicity 1)
Si  0.3333  0.6667  0.2820 (multiplicity 1)
Si  0.3333  0.6667  0.3333 (multiplicity 1)
Si  0.3333  0.6667  0.4359 (multiplicity 1)
Si  0.3333  0.6667  0.4872 (multiplicity 1)
Si  0.3333  0.6667  0.5385 (multiplicity 1)
Si  0.3333  0.6667  0.6667 (multiplicity 1)
Si  0.3333  0.6667  0.7436 (multiplicity 1)
Si  0.3333  0.6667  0.8205 (multiplicity 1)
Si  0.3333  0.6667  0.8974 (multiplicity 1)
Si  0.6667  0.3333  0.0769 (multiplicity 1)
Si  0.6667  0.3333  0.1538 (multiplicity 1)
Si  0.6667  0.3333  0.2308 (multiplicity 1)
Si  0.6667  0.3333  0.3077 (multiplicity 1)
Si  0.6667  0.3333  0.3846 (multiplicity 1)
Si  0.6667  0.3333  0.4615 (multiplicity 1)
Si  0.6667  0.3333  0.5641 (multiplicity 1)
Si  0.6667  0.3333  0.6154 (multiplicity 1)
Si  0.6667  0.3333  0.7179 (multiplicity 1)
Si  0.6667  0.3333  0.7692 (multiplicity 1)
Si  0.6667  0.3333  0.8718 (multiplicity 1)
Si  0.6667  0.3333  0.9231 (multiplicity 1)
Si  0.6667  0.3333  0.9744 (multiplicity 1)
C  0.0000  0.0000  0.0192 (multiplicity 1)
C  0.0000  0.0000  0.0705 (multiplicity 1)
C  0.0000  0.0000  0.1218 (multiplicity 1)
C  0.0000  0.0000  0.2243 (multiplicity 1)
C  0.0000  0.0000  0.2757 (multiplicity 1)
C  0.0000  0.0000  0.3782 (multiplicity 1)
C  0.0000  0.0000  0.4295 (multiplicity 1)
C  0.0000  0.0000  0.5321 (multiplicity 1)
C  0.0000  0.0000  0.6090 (multiplicity 1)
C  0.0000  0.0000  0.6602 (multiplicity 1)
C  0.0000  0.0000  0.7116 (multiplicity 1)
C  0.0000  0.0000  0.8141 (multiplicity 1)
C  0.0000  0.0000  0.8654 (multiplicity 1)
C  0.0000  0.0000  0.9680 (multiplicity 1)
C  0.3333  0.6667  0.0449 (multiplicity 1)
C  0.3333  0.6667  0.1474 (multiplicity 1)
C  0.3333  0.6667  0.1987 (multiplicity 1)
C  0.3333  0.6667  0.3013 (multiplicity 1)
C  0.3333  0.6667  0.3526 (multiplicity 1)
C  0.3333  0.6667  0.4551 (multiplicity 1)
C  0.3333  0.6667  0.5064 (multiplicity 1)
C  0.3333  0.6667  0.5577 (multiplicity 1)
C  0.3333  0.6667  0.6860 (multiplicity 1)
C  0.3333  0.6667  0.7629 (multiplicity 1)
~~~
Nathan, Sandra and Stefan, circa 1988
She taught junior high for seven years until a reduction in force found her looking for a new career. She went to Hawaii and worked for a year in real estate then returned to teach for one more year. In 1977 she began working for Sherwood Roberts Real Estate. Four years later Sherwood Roberts was purchased by Windermere Real Estate and Sandra has remained with Windermere since that time.
In 1968 Sandra joined her friend Jean Van Dyk while Jean was on a Fulbright in Germany. Jean decided to stay and marry Hans Hoerschelmann while Sandra returned to work in Seattle. The Hoerschelmanns also returned to Seattle and the friendship continued. Tragically, in 1985 Jean and Hans were killed in an automobile accident. With little hesitation, Sandra “inherited” their two sons Nathan (age 12) and Stefan (age 2). Both sons live in Seattle: Nathan an attorney and Stefan in real estate with Sandra. A grandson, Hans, bears his grandfather’s name.
Career And Travel
Pappas Family (l-r) Back: Ted, Sandra, Wendy, Mark; Front: Jennifer, Stefan, Melina, Alex, Nathan, 1992
Sandra’s first six years in real estate were very intense. Following a complex transaction she had lunch with a colleague who suggested they try “something else.” In 1981 they visited San Francisco and observed the operation of the San Francisco Real Estate Forum. Subsequently, for the next seven years Sandra and two partners edited, printed and distributed the Seattle Real Estate Forum magazine.
Windermere advertisement, 2012
Every two weeks up to 30,000 copies were distributed in the greater Seattle area. While Sandra has seen the ebbs and flows in the real estate market, the Seattle area she serves has not suffered significantly. This is primarily due to the fact that the commuting from this area is minimal and because Sandra counsels her clients to think of their housing needs for the long term, not just for investment purposes. She has been fortunate to have a group of happy clients who have made good decisions.
Sandra traveled to Greece in 2002 and met with her father’s relatives in Gavros. The tiny village of about 40 houses sits above a reservoir providing water for Athens. When she saw the family home, now in shambles, she felt rather detached and found it hard to imagine her father in this location. An elderly cousin explained that when John left for America, 17 of the 20 young men in the village also left as conditions in Greece were very poor. With the last name of Pappas few if any see the English side of Sandra’s heritage. She still has cousins in England, visits the Hoerschelmann family in Germany and her brother John and his wife Ann in California.
Sandra with Seattle Real Estate Forum shirt, 2012 by John Nicon
Sandra knows that her Greek upbringing has been of some benefit to her and that her father’s interest in real estate provided an impetus for her choice of career. Soap Lake was like living in a fish bowl. She was expected to be a well-behaved child – spending time with older people and having people stop by for tea and cookies in the afternoon. Just as the Pappas family left their mark in Soap Lake, Sandra has established her own successful career in real estate. Her words of advice are “Be friendly,” something she learned living in a small town where everyone knows everyone else.
Sandra with her Metaxa painting, 2012 by John Nicon
Sandra’s Greek memories emerge occasionally and one example is a painting in the entrance to her home. During her early years in Soap Lake she remembers sipping 7-Up with a bit of five-star Metaxa (Greek grape brandy) during the holidays and sleeping peacefully afterwards. The painting hung in a Seattle restaurant and the bottle in the painting convinced her to bring it home.
By John and Joann Nicon, May 2012
Video interview by John and Joann Nicon, May 2012. Photos from the Pappas collection unless otherwise noted.